(Input)
........
# CaCrSbO6
Calculated powder XRD pattern, Cu Kα (λ = 1.5418 Å). Input: DFT lattice parameters and positions (GGA+U).
Neutral-atom scattering factors, no anomalous dispersion.

Crystal structure
Lattice parameters (Å, degrees): 4.8028 4.8028 9.5792 90.00 90.00 90.00
Fractional positions:
Ca 0.0000 0.0000 0.0000
Ca 0.5000 0.5000 0.5000
Cr 0.0000 0.0000 0.6642
Cr 0.5000 0.5000 0.1642
Sb 0.0000 0.0000 0.3399
Sb 0.5000 0.5000 0.8399
O 0.1750 0.1750 0.5122
O 0.2137 0.2137 0.8169
O 0.2282 0.2282 0.1923
O 0.2718 0.7282 0.6923
O 0.2863 0.7137 0.3169
O 0.3250 0.6750 0.0122
O 0.6750 0.3250 0.0122
O 0.7137 0.2863 0.3169
O 0.7282 0.2718 0.6923
O 0.7718 0.7718 0.1923
O 0.7863 0.7863 0.8169
O 0.8250 0.8250 0.5122

Most intense lines, 2θ = 10–90°, in order of rising 2θ:
- 2θ 18.52, intensity 13
- 2θ 20.69, intensity 43
- 2θ 26.24, intensity 100
- 2θ 33.71, intensity 72
- 2θ 37.45, intensity 14
- 2θ 51.27, intensity 65
- 2θ 54.02, intensity 23
- 2θ 61.01, intensity 13
- 2θ 64.49, intensity 13
- 2θ 65.20, intensity 22


# Ca2CrSbO6
Calculated powder XRD pattern, Cu Kα (λ = 1.5418 Å). Input: DFT lattice parameters and positions (GGA+U).
Neutral-atom scattering factors, no anomalous dispersion.

Crystal structure
Lattice parameters (Å, degrees): 5.4560 7.8448 5.6065 90.00 90.02 90.00
Fractional positions:
Ca 0.0046 0.2500 0.0411
Ca 0.4839 0.2500 0.5650
Ca 0.5161 0.7500 0.4350
Ca 0.9954 0.7500 0.9589
Cr 0.5000 0.0000 0.0000
Cr 0.5000 0.5000 0.0000
Sb 0.0000 0.0000 0.5000
Sb 0.0000 0.5000 0.5000
O 0.0989 0.7500 0.5313
O 0.1960 0.0494 0.7919
O 0.1960 0.4506 0.7919
O 0.2942 0.0490 0.3019
O 0.2942 0.4510 0.3019
O 0.4111 0.7500 0.0305
O 0.5889 0.2500 0.9695
O 0.7058 0.5490 0.6981
O 0.7058 0.9510 0.6981
O 0.8040 0.5494 0.2081
O 0.8040 0.9506 0.2081
O 0.9011 0.2500 0.4687

Most intense lines, 2θ = 10–90°, in order of rising 2θ:
- 2θ 15.81, intensity 12
- 2θ 22.72, intensity 50
- 2θ 31.93, intensity 24
- 2θ 32.33, intensity 100
- 2θ 32.83, intensity 23
- 2θ 46.29, intensity 17
- 2θ 46.45, intensity 30
- 2θ 57.15, intensity 16
- 2θ 58.29, intensity 25
- 2θ 67.67, intensity 14


# CaCr2SiO6
Calculated powder XRD pattern, Cu Kα (λ = 1.5418 Å). Input: DFT lattice parameters and positions (GGA+U).
Neutral-atom scattering factors, no anomalous dispersion.

Crystal structure
Lattice parameters (Å, degrees): 5.4942 5.4942 5.4942 55.52 55.52 55.52
Fractional positions:
Ca 0.0000 0.0000 0.0000
Cr 0.2790 0.2790 0.2790
Cr 0.7887 0.7887 0.7887
Si 0.4758 0.4758 0.4758
O 0.0978 0.6365 0.4331
O 0.2231 0.5466 0.8482
O 0.4331 0.0978 0.6365
O 0.5466 0.8482 0.2231
O 0.6365 0.4331 0.0978
O 0.8482 0.2231 0.5466

Most intense lines, 2θ = 10–90°, in order of rising 2θ:
- 2θ 23.81, intensity 60
- 2θ 32.75, intensity 100
- 2θ 35.07, intensity 75
- 2θ 40.26, intensity 31
- 2θ 48.74, intensity 40
- 2θ 53.35, intensity 62
- 2θ 61.45, intensity 35
- 2θ 62.91, intensity 37
- 2θ 83.41, intensity 12
- 2θ 87.00, intensity 11


# Ca2TaCrO6
Calculated powder XRD pattern, Cu Kα (λ = 1.5418 Å). Input: DFT lattice parameters and positions (GGA+U).
Neutral-atom scattering factors, no anomalous dispersion.

Crystal structure
Lattice parameters (Å, degrees): 5.4576 7.8236 5.6024 90.00 90.20 90.00
Fractional positions:
Ca 0.0071 0.2500 0.0378
Ca 0.4890 0.2500 0.5618
Ca 0.5110 0.7500 0.4382
Ca 0.9929 0.7500 0.9622
Ta 0.0000 0.0000 0.5000
Ta 0.0000 0.5000 0.5000
Cr 0.5000 0.0000 0.0000
Cr 0.5000 0.5000 0.0000
O 0.0882 0.7500 0.5260
O 0.2010 0.0462 0.7889
O 0.2010 0.4538 0.7889
O 0.2910 0.0446 0.2981
O 0.2910 0.4554 0.2981
O 0.4070 0.7500 0.0316
O 0.5930 0.2500 0.9684
O 0.7090 0.5446 0.7019
O 0.7090 0.9554 0.7019
O 0.7990 0.5462 0.2111
O 0.7990 0.9538 0.2111
O 0.9118 0.2500 0.4740

Most intense lines, 2θ = 10–90°, in order of rising 2θ:
- 2θ 15.82, intensity 26
- 2θ 16.24, intensity 26
- 2θ 22.74, intensity 70
- 2θ 27.82, intensity 15
- 2θ 31.95, intensity 25
- 2θ 32.38, intensity 100
- 2θ 32.82, intensity 23
- 2θ 46.40, intensity 30
- 2θ 46.54, intensity 14
- 2θ 52.28, intensity 16


# Ca2Ta2CrO8
........
(To do)
The reader should start at the top of the notes above and restate each line, ending with the one that has "62.91, intensity".
(Written answer)
# CaCrSbO6
Calculated powder XRD pattern, Cu Kα (λ = 1.5418 Å). Input: DFT lattice parameters and positions (GGA+U).
Neutral-atom scattering factors, no anomalous dispersion.

Crystal structure
Lattice parameters (Å, degrees): 4.8028 4.8028 9.5792 90.00 90.00 90.00
Fractional positions:
Ca 0.0000 0.0000 0.0000
Ca 0.5000 0.5000 0.5000
Cr 0.0000 0.0000 0.6642
Cr 0.5000 0.5000 0.1642
Sb 0.0000 0.0000 0.3399
Sb 0.5000 0.5000 0.8399
O 0.1750 0.1750 0.5122
O 0.2137 0.2137 0.8169
O 0.2282 0.2282 0.1923
O 0.2718 0.7282 0.6923
O 0.2863 0.7137 0.3169
O 0.3250 0.6750 0.0122
O 0.6750 0.3250 0.0122
O 0.7137 0.2863 0.3169
O 0.7282 0.2718 0.6923
O 0.7718 0.7718 0.1923
O 0.7863 0.7863 0.8169
O 0.8250 0.8250 0.5122

Most intense lines, 2θ = 10–90°, in order of rising 2θ:
- 2θ 18.52, intensity 13
- 2θ 20.69, intensity 43
- 2θ 26.24, intensity 100
- 2θ 33.71, intensity 72
- 2θ 37.45, intensity 14
- 2θ 51.27, intensity 65
- 2θ 54.02, intensity 23
- 2θ 61.01, intensity 13
- 2θ 64.49, intensity 13
- 2θ 65.20, intensity 22


# Ca2CrSbO6
Calculated powder XRD pattern, Cu Kα (λ = 1.5418 Å). Input: DFT lattice parameters and positions (GGA+U).
Neutral-atom scattering factors, no anomalous dispersion.

Crystal structure
Lattice parameters (Å, degrees): 5.4560 7.8448 5.6065 90.00 90.02 90.00
Fractional positions:
Ca 0.0046 0.2500 0.0411
Ca 0.4839 0.2500 0.5650
Ca 0.5161 0.7500 0.4350
Ca 0.9954 0.7500 0.9589
Cr 0.5000 0.0000 0.0000
Cr 0.5000 0.5000 0.0000
Sb 0.0000 0.0000 0.5000
Sb 0.0000 0.5000 0.5000
O 0.0989 0.7500 0.5313
O 0.1960 0.0494 0.7919
O 0.1960 0.4506 0.7919
O 0.2942 0.0490 0.3019
O 0.2942 0.4510 0.3019
O 0.4111 0.7500 0.0305
O 0.5889 0.2500 0.9695
O 0.7058 0.5490 0.6981
O 0.7058 0.9510 0.6981
O 0.8040 0.5494 0.2081
O 0.8040 0.9506 0.2081
O 0.9011 0.2500 0.4687

Most intense lines, 2θ = 10–90°, in order of rising 2θ:
- 2θ 15.81, intensity 12
- 2θ 22.72, intensity 50
- 2θ 31.93, intensity 24
- 2θ 32.33, intensity 100
- 2θ 32.83, intensity 23
- 2θ 46.29, intensity 17
- 2θ 46.45, intensity 30
- 2θ 57.15, intensity 16
- 2θ 58.29, intensity 25
- 2θ 67.67, intensity 14


# CaCr2SiO6
Calculated powder XRD pattern, Cu Kα (λ = 1.5418 Å). Input: DFT lattice parameters and positions (GGA+U).
Neutral-atom scattering factors, no anomalous dispersion.

Crystal structure
Lattice parameters (Å, degrees): 5.4942 5.4942 5.4942 55.52 55.52 55.52
Fractional positions:
Ca 0.0000 0.0000 0.0000
Cr 0.2790 0.2790 0.2790
Cr 0.7887 0.7887 0.7887
Si 0.4758 0.4758 0.4758
O 0.0978 0.6365 0.4331
O 0.2231 0.5466 0.8482
O 0.4331 0.0978 0.6365
O 0.5466 0.8482 0.2231
O 0.6365 0.4331 0.0978
O 0.8482 0.2231 0.5466

Most intense lines, 2θ = 10–90°, in order of rising 2θ:
- 2θ 23.81, intensity 60
- 2θ 32.75, intensity 100
- 2θ 35.07, intensity 75
- 2θ 40.26, intensity 31
- 2θ 48.74, intensity 40
- 2θ 53.35, intensity 62
- 2θ 61.45, intensity 35
- 2θ 62.91, intensity 37